-- To do --
Type out the material further below from the first line to the one with "-0.19273 -0.47013" exactly.

-- Contents --
____________
P) Density functional theory data (ωB97M-V/def2-TZVPD) for a cluster of 2 separate species, CH4N2O2 in total.

Last columns: bonded neighbours and bond lengths (Å).
Element x y z (Å)
1 C -2.82226 0.79166 1.21347  N3 1.165, O4 1.171
2 N -0.61682 -0.89466 -0.32020  H6 0.982, H7 1.055, H8 1.032
3 N -2.45245 1.68899 1.85862  C1 1.165, O5 1.345
4 O -3.52416 0.08918 0.59374  C1 1.171
5 O -1.46706 2.22880 2.59857  N3 1.345, H9 0.991
6 H -0.27845 -0.21073 -0.93894  N2 0.982
7 H -0.14979 -1.78173 -0.64995  N2 1.055
8 H -1.64172 -0.96881 -0.41369  N2 1.032
9 H -0.80831 2.61188 1.96519  O5 0.991

The gap between HOMO and LUMO (alpha / beta) is 6.7080 / 6.8237 eV. The calculation puts the HOMO energy (alpha / beta) at -5.64 / -10.08 eV. As for the multiplicity: 3. As for the LUMO energy (alpha / beta): 1.06 / -3.25 eV.

How positive or negative is each atom? The Mulliken charges in e answer that: 0.373 -0.654 -0.284 -0.327 -0.174 0.204 0.226 0.228 0.409

Q) Density functional theory data (ωB97M-V/def2-TZVPD) for a cluster of 2 separate species, CH4N2O2 in total.

Last columns: bonded neighbours and bond lengths (Å).
Element x y z (Å)
1 C -0.35421 -0.46558 0.08846  N3 1.426, H6 1.155, H7 1.226, H8 1.026
2 N 2.36696 -0.80455 -0.23488  O5 1.167
3 N 0.66096 0.20735 -0.65350  C1 1.426, O4 1.393
4 O 0.96481 1.42285 -0.04473  N3 1.393, H9 0.995
5 O 3.10257 -0.07731 0.30626  N2 1.167
6 H -0.19273 -0.47013 1.23173  C1 1.155
7 H -1.29528 0.30656 -0.05389  C1 1.226
8 H -0.43043 -1.31785 -0.47682  C1 1.026
9 H 1.89471 1.38456 0.30586  O4 0.995

The gap between HOMO and LUMO (alpha / beta) is 9.0305 / 8.6527 eV. The calculation puts the HOMO energy (alpha / beta) at -8.21 / -10.20 eV. As for the multiplicity: 3. As for the LUMO energy (alpha / beta): 0.82 / -1.55 eV.

How positive or negative is each atom? The Mulliken charges in e answer that: -0.478 0.210 -0.219 -0.342 -0.364 0.254 0.232 0.325 0.383

It is P) that is the least stable of them.

P) Density functional theory data (ωB97M-V/def2-TZVPD) for a cluster of 6 separate species, C18H48O18S6 in total.

Last columns: bonded neighbours and bond lengths (Å).
Element x y z (Å)
1 C 1.87650 -1.19835 4.33640  C2 1.537, H8 1.090, H9 1.090, H10 1.090
2 C 2.55311 -0.11459 3.48246  C1 1.537, O3 1.397, H11 1.090, H12 1.090
3 O 1.75470 0.00218 2.34218  C2 1.397, S4 1.634
4 S 2.57267 0.38869 0.98181  O3 1.634, C5 1.939, O6 1.448, O7 1.471
5 C 3.22469 -1.38533 0.54977  S4 1.939, H13 1.090, H14 1.090, H15 1.090
6 O 1.69069 0.84366 -0.07250  S4 1.448
7 O 3.66511 1.27405 1.41236  S4 1.471
8 H 1.54261 -2.13859 3.89758  C1 1.090
9 H 1.03952 -0.79104 4.90356  C1 1.090
10 H 2.56709 -1.37475 5.16107  C1 1.090
11 H 2.68242 0.78152 4.08940  C2 1.090
12 H 3.56639 -0.45474 3.26879  C2 1.090
13 H 4.07952 -1.63891 1.17672  C5 1.090
14 H 3.67895 -1.42605 -0.44023  C5 1.090
15 H 2.38948 -2.04886 0.77394  C5 1.090
16 C -7.57040 7.20090 5.16585  C17 1.559, H23 1.090, H24 1.090, H25 1.090
17 C -6.02917 7.39816 5.29024  C16 1.559, O18 1.407, H26 1.090, H27 1.090
18 O -5.49464 6.16078 5.69449  C17 1.407, S19 1.715
19 S -5.27695 4.76913 4.71528  O18 1.715, C20 1.875, O21 1.468, O22 1.455
20 C -3.83770 3.98393 5.62593  S19 1.875, H28 1.090, H29 1.090, H30 1.090
21 O -6.50937 3.98723 4.87734  S19 1.468
22 O -4.86624 5.16390 3.37649  S19 1.455
23 H -7.95592 8.12242 4.72965  C16 1.090
24 H -8.05797 7.13430 6.13845  C16 1.090
25 H -7.78133 6.23569 4.70546  C16 1.090
26 H -5.60709 7.79672 4.36769  C17 1.090
27 H -5.89976 8.20564 6.01089  C17 1.090
28 H -2.88838 4.51908 5.60387  C20 1.090
29 H -3.86947 2.93251 5.34025  C20 1.090
30 H -4.16152 3.93835 6.66572  C20 1.090
31 C 4.52924 -11.26241 -2.65509  C32 1.566, H38 1.090, H39 1.090, H40 1.090
32 C 4.94244 -9.79521 -2.29627  C31 1.566, O33 1.417, H41 1.090, H42 1.090
33 O 5.97418 -9.81730 -1.32453  C32 1.417, S34 1.624
34 S 6.41693 -8.42183 -0.62083  O33 1.624, C35 1.914, O36 1.483, O37 1.464
35 C 6.92337 -7.46697 -2.20080  S34 1.914, H43 1.090, H44 1.090, H45 1.090
____________

-- Reply --
P) Density functional theory data (ωB97M-V/def2-TZVPD) for a cluster of 2 separate species, CH4N2O2 in total.

Last columns: bonded neighbours and bond lengths (Å).
Element x y z (Å)
1 C -2.82226 0.79166 1.21347  N3 1.165, O4 1.171
2 N -0.61682 -0.89466 -0.32020  H6 0.982, H7 1.055, H8 1.032
3 N -2.45245 1.68899 1.85862  C1 1.165, O5 1.345
4 O -3.52416 0.08918 0.59374  C1 1.171
5 O -1.46706 2.22880 2.59857  N3 1.345, H9 0.991
6 H -0.27845 -0.21073 -0.93894  N2 0.982
7 H -0.14979 -1.78173 -0.64995  N2 1.055
8 H -1.64172 -0.96881 -0.41369  N2 1.032
9 H -0.80831 2.61188 1.96519  O5 0.991

The gap between HOMO and LUMO (alpha / beta) is 6.7080 / 6.8237 eV. The calculation puts the HOMO energy (alpha / beta) at -5.64 / -10.08 eV. As for the multiplicity: 3. As for the LUMO energy (alpha / beta): 1.06 / -3.25 eV.

How positive or negative is each atom? The Mulliken charges in e answer that: 0.373 -0.654 -0.284 -0.327 -0.174 0.204 0.226 0.228 0.409

Q) Density functional theory data (ωB97M-V/def2-TZVPD) for a cluster of 2 separate species, CH4N2O2 in total.

Last columns: bonded neighbours and bond lengths (Å).
Element x y z (Å)
1 C -0.35421 -0.46558 0.08846  N3 1.426, H6 1.155, H7 1.226, H8 1.026
2 N 2.36696 -0.80455 -0.23488  O5 1.167
3 N 0.66096 0.20735 -0.65350  C1 1.426, O4 1.393
4 O 0.96481 1.42285 -0.04473  N3 1.393, H9 0.995
5 O 3.10257 -0.07731 0.30626  N2 1.167
6 H -0.19273 -0.47013 1.23173  C1 1.155